## Entries
┌──
# 1
C6H12ClN | ωB97M-V/def2-TZVPD

Each line ends with the natural charge from an NBO analysis.
CARTESIAN COORDINATES (ANGSTROEM)
C  -0.71618  -0.36604  1.30962  -0.64
C  -1.25048  0.10613  0.03509  -0.03
C  -2.57079  -0.61825  -0.32551  -0.61
Cl  -1.59042  1.89751  -0.07410  -0.07
C  -0.14821  -0.31029  -1.03285  -0.23
C  1.10184  0.07105  -1.15867  -0.19
C  1.91004  1.10105  -0.19452  -0.25
N  2.94762  0.39314  0.52203  -0.82
H  -0.60840  -1.44040  1.37780  0.23
H  -1.23166  -0.09273  2.34255  0.22
H  0.25345  0.10859  1.41330  0.21
H  -3.33931  -0.32909  0.45843  0.22
H  -3.01381  -0.39559  -1.27841  0.22
H  -2.46842  -1.65396  -0.20449  0.21
H  -0.46674  -0.99089  -1.85391  0.21
H  1.59961  -0.38057  -2.08546  0.21
H  2.37745  2.07369  -0.71000  0.21
H  1.15934  1.34199  0.54540  0.20
H  3.40634  -0.21637  -0.25684  0.34
H  2.64875  -0.29898  1.17054  0.36

Summary:
LUMO level, eV: 0.8
HOMO energy, eV: -9.283
E_tot, eV: -20427.335
SMILES: CC(C)(Cl)/C=C\CN
Charge: 0

# 2
C6H12CoF5N3O2 | ωB97M-V/def2-TZVPD

Each line ends with the natural charge from an NBO analysis.
CARTESIAN COORDINATES (ANGSTROEM)
Co  0.76273  0.84940  0.25736  1.03
N  0.13304  0.90340  -1.74424  -0.86
C  -0.62325  -0.26945  -2.26357  -0.21
C  -1.18464  -1.13293  -1.14494  -0.44
C  -2.29340  -0.50208  -0.27968  -0.42
C  -1.97421  -0.59514  1.20782  -0.21
N  -0.91385  0.37544  1.57228  -0.89
H  -0.44362  1.73346  -1.72669  0.39
H  0.91661  1.10648  -2.34996  0.40
H  0.05984  -0.88130  -2.84910  0.21
H  -1.42320  0.06668  -2.92645  0.18
H  -0.34364  -1.40752  -0.50426  0.23
H  -1.54800  -2.05925  -1.59346  0.22
H  -3.23838  -1.01588  -0.45683  0.22
H  -2.45417  0.55224  -0.53774  0.20
H  -1.61804  -1.59934  1.43745  0.20
H  -2.87048  -0.41488  1.80105  0.19
H  -0.55631  0.15742  2.49429  0.39
H  -1.31277  1.30299  1.61827  0.40
O  -0.22186  2.56367  0.38943  -0.59
N  0.81153  3.30708  0.47846  0.35
O  1.83054  2.57960  0.51292  -0.49
F  1.74118  -1.68165  -0.37010  -0.37
C  2.16117  -0.46786  0.14036  0.30
F  3.20283  -0.07310  -0.64070  -0.35
C  2.73788  -0.78372  1.53021  0.89
F  3.44609  0.25239  1.98418  -0.31
F  1.71201  -0.99144  2.39835  -0.35
F  3.50438  -1.87473  1.56532  -0.31

Summary:
LUMO level (spin up / spin down), eV: 0.5 / 0.5
HOMO energy (spin up / spin down), eV: -9.273 / -8.900
2S+1: 2
E_tot, eV: -66194.460
Charge: 0

# 3
C6H12F2NO3P | ωB97M-V/def2-TZVPD

Each line ends with the natural charge from an NBO analysis.
CARTESIAN COORDINATES (ANGSTROEM)
C  2.05747  1.33586  1.03903  -0.64
C  0.57780  1.31182  0.74584  -0.44
C  0.18600  0.26664  -0.35242  0.04
N  1.00354  0.50280  -1.54399  -0.88
C  0.34423  -1.08100  0.30486  -0.53
C  0.39014  -2.30675  -0.58718  -0.60
C  -1.34596  0.50007  -0.69576  0.34
F  -1.63498  0.01164  -1.92982  -0.39
F  -1.33869  1.89647  -1.00458  -0.43
P  -2.59450  0.01775  0.74061  2.36
O  -2.15225  0.90472  1.82840  -1.24
O  -2.35422  -1.47166  0.82406  -1.22
O  -3.94652  0.38336  0.25275  -1.24
H  2.27583  0.63773  1.84117  0.19
H  2.23600  2.44164  1.11244  0.19
H  2.61374  1.01940  0.23697  0.21
H  -0.12704  1.14173  1.52485  0.29
H  0.18237  2.36695  0.49935  0.20
H  1.15661  -0.40321  -1.98230  0.34
H  0.67878  1.07294  -2.33742  0.36
H  1.16507  -1.12581  1.04781  0.17
H  -0.70109  -1.25596  0.88847  0.36
H  -0.60854  -2.72941  -1.04489  0.22
H  0.82952  -3.19903  -0.03561  0.18
H  1.10671  -2.23871  -1.37262  0.15

Summary:
LUMO level, eV: 6.1
HOMO energy, eV: 0.172
E_tot, eV: -28773.641
SMILES: CCC(N)(CC)C(F)(F)P(=O)([O-])[O-]
Charge: -2

# 4
C6H12FN3O9 | ωB97M-V/def2-TZVPD

Each line ends with the natural charge from an NBO analysis.
CARTESIAN COORDINATES (ANGSTROEM)
C  -5.98613  -4.78462  14.00439  -0.12
C  -5.31800  -5.82448  13.04461  0.44
O  -6.01948  -7.05985  13.32675  -0.52
C  -6.71022  -6.89733  14.53334  0.98
O  -7.51297  -7.66474  15.13867  -0.60
O  -6.35346  -5.75582  15.01056  -0.48
F  -4.02542  -5.90404  13.46935  -0.33
H  -6.93470  -4.36126  13.67414  0.21
└──

## Job
Restate the lines earlier on from the one with "eV: 0.8" to the one with "-0.91385" verbatim.

## Written answer
LUMO level, eV: 0.8
HOMO energy, eV: -9.283
E_tot, eV: -20427.335
SMILES: CC(C)(Cl)/C=C\CN
Charge: 0

# 2
C6H12CoF5N3O2 | ωB97M-V/def2-TZVPD

Each line ends with the natural charge from an NBO analysis.
CARTESIAN COORDINATES (ANGSTROEM)
Co  0.76273  0.84940  0.25736  1.03
N  0.13304  0.90340  -1.74424  -0.86
C  -0.62325  -0.26945  -2.26357  -0.21
C  -1.18464  -1.13293  -1.14494  -0.44
C  -2.29340  -0.50208  -0.27968  -0.42
C  -1.97421  -0.59514  1.20782  -0.21
N  -0.91385  0.37544  1.57228  -0.89